View Full Version : Apple offers Safari browser for Windows

13th June 2007, 10:00

I'll be giving it a go when I get home I have to say. Sounds like IE7 with a few differences but we'll see :)

13th June 2007, 10:05


13th June 2007, 11:22
Thanks. Opera has always been my favorite. I'm giving Safari a try, I think its too minimal, but that is how apple aoftware is, to make simple, good thing its not slow like iTunes. I like the smoothing text option though. I make firefox the secondary safe browser, where all images and java is disabled. Although Firefox is really smart, it can detect some website is a counterfeit.

13th June 2007, 12:02
Been using Safari for a couple of days on the PC and apart from a couple of issues with crashing, it works very well and fast.
I have been using a mac for other work and its speed and easy of use seem to be very good - my next PC may be a MAC!

Only major problem is that http://www.wrc.com does not work, but they have a couple of months to sort that out!


13th June 2007, 12:21
Thanks. Opera has always been my favorite. I'm giving Safari a try, I think its too minimal, but that is how apple aoftware is, to make simple, good thing its not slow like iTunes. I like the smoothing text option though. I make firefox the secondary safe browser, where all images and java is disabled. Although Firefox is really smart, it can detect some website is a counterfeit.
IE7 hase been able to detect phishing sites for a long time so Firefox isn't "smart" for doing this. The major problem with Firefox is it's memory useage and that's something I can't tolerate. It's too slow even on fast PC's and then there's the fact that you need to download 10,000 plugins for it to actually start displaying websites properly.

Dave B
14th June 2007, 11:32
Yay! Another browser war thread! :bounce:

Between two parts of the piece: crystal structures:
Record 1
This entry pairs a crystal structure of Y10Cd3Pd with its simulated X-ray powder pattern. Radiation: a wavelength of 1.5418 Å. Structure: the GGA-PBE geometry in Alexandria.
Lines closer than 0.1° are merged.

Structural model:
Unit cell a=9.7454 b=9.7454 c=9.8066 alpha=90.00 beta=90.00 gamma=120.00
Space group P6_3/mmc (No. 194)
One atom of each set of equivalent atoms:
Y (0.0000, 0.0000, 0.0000) (multiplicity 2)
Y (0.0872, 0.5436, 0.2500) (multiplicity 6)
Y (0.2078, 0.4156, 0.5581) (multiplicity 12)
Cd (0.1154, 0.2309, 0.2500) (multiplicity 6)
Pd (0.3333, 0.6667, 0.7500) (multiplicity 2)

Main lines, in order of rising 2θ (5 to 70 degrees two-theta):
h k l	2θ (°)	I_rel
1 0 3	29.30	16
3 0 1	33.13	73
2 1 2	33.51	100
2 0 3	34.71	48
0 0 4	36.66	15
2 2 0	36.89	16
3 2 3	55.13	15
3 3 0	56.67	24
3 0 5	57.26	28
5 0 2	57.77	19



Record 2
This entry pairs a crystal structure of Y3Cd2Pd3 with its simulated X-ray powder pattern. Radiation: a wavelength of 1.5418 Å. Structure: the GGA-PBE geometry in Alexandria.
Lines closer than 0.1° are merged.

Structural model:
Unit cell a=8.4653 b=8.4653 c=5.7846 alpha=90.00 beta=90.00 gamma=120.00
Space group P6_3/mcm (No. 193)
One atom of each set of equivalent atoms:
Y (0.0000, 0.2716, 0.2500) (multiplicity 6)
Cd (0.3333, 0.6667, 0.0000) (multiplicity 4)
Pd (0.0000, 0.3864, 0.7500) (multiplicity 6)

Main lines, in order of rising 2θ (5 to 70 degrees two-theta):
h k l	2θ (°)	I_rel
1 0 0	12.07	35
0 0 2	30.92	16
2 1 0	32.31	22
2 1 1	35.94	72
3 0 0	36.78	85
1 1 2	37.67	100
3 1 1	47.39	23
2 2 2	53.66	23
2 1 3	58.30	17
4 1 2	66.84	22



Record 3
This entry pairs a crystal structure of Y6CdPd with its simulated X-ray powder pattern. Radiation: a wavelength of 1.5418 Å. Structure: the GGA-PBE geometry in Alexandria.
Lines closer than 0.1° are merged.

Structural model:
Unit cell a=7.0369 b=7.0407 c=7.3077 alpha=90.14 beta=118.64 gamma=119.88
Space group P-1 (No. 2)
One atom of each set of equivalent atoms:
Y (0.0282, 0.0704, 0.2522) (multiplicity 2)
Y (0.2936, 0.7234, 0.2518) (multiplicity 2)
Y (0.3163, 0.5407, 0.7480) (multiplicity 2)
Cd (0.5000, 0.0000, 0.0000) (multiplicity 1)
Pd (0.5000, 0.5000, 0.5000) (multiplicity 1)

Main lines, in order of rising 2θ (5 to 70 degrees two-theta):
h k l	2θ (°)	I_rel
-1 1 1	17.49	30
1 0 -2	24.36	37
2 -1 0	29.29	100
-2 1 2	29.37	29
2 0 -2	30.92	27
1 1 1	39.12	52
2 1 -1	40.32	12
-3 3 1	44.57	43
2 -1 2	52.01	15
2 -4 1	54.20	12



Record 4
This entry pairs a crystal structure of YCd3Pd6 with its simulated X-ray powder pattern. Radiation: a wavelength of 1.5418 Å. Structure: the GGA-PBE geometry in Alexandria.
Lines closer than 0.1° are merged.

Structural model:
Unit cell a=8.7967 b=4.2909 c=9.4446 alpha=90.00 beta=95.46 gamma=90.00
Space group P2_1/m (No. 11)
One atom of each set of equivalent atoms:
Y (0.0635, 0.2500, 0.3751) (multiplicity 2)
Cd (0.2478, 0.2500, 0.0150) (multiplicity 2)
Cd (0.3441, 0.7500, 0.8080) (multiplicity 2)
Cd (0.4481, 0.2500, 0.6026) (multiplicity 2)


PS Firefox sucks, but not as badly as Thunderbird. ;)

14th June 2007, 20:01
Although Firefox is really smart, it can detect some website is a counterfeit.

Two days ago I received an email pointing to a phishing site: IE7 told me immediately it was a phishing site, Firefox let happily use it.

18th June 2007, 15:23
What a pile of junk.

It's unstable, I've been using it for about 15 minutes and it crashed 3 times.

It forces the Apple Mac interface onto you. Well designed programs stick to the default interface of the operating system, because that's what the users are used to. If I wanted fancy aqua stuff I would be using a Mac.

It's incompatible with many of the AJAX functions on these very forums. I had to restart IE in order to move a thread.

18th June 2007, 15:40
Two days ago I received an email pointing to a phishing site: IE7 told me immediately it was a phishing site, Firefox let happily use it.
Something like this I assume? :)


18th June 2007, 15:40
Two days ago I received an email pointing to a phishing site: IE7 told me immediately it was a phishing site, Firefox let happily use it.
Something like this I assume? :) If this feature doesn't work properly in Firefox then Firefox is totally useless for a good chunk of the community as a lot of people can't spot these things as easily as you or I. Plus I don't want to have to have 4gb of memory just to run a frigging web browser :rolleyes:


18th June 2007, 15:45
It should also be pointed out that I uploaded that screencap on the 16th of April 2006 so it's not like Firefox Momemoryhogzilla hasn't had time to get this functionality working properly ;)

Dave B
18th June 2007, 17:29
I hate the way that Firefox is touted by the more ignorant parts of the media as a "safe alternative" to IE.

There's no such thing, and claiming otherwise leads people to drop their guard thinking that precious Firefox will defend them from the evils of the internet.

18th June 2007, 17:55
I hate the way that Firefox is touted by the more ignorant parts of the media as a "safe alternative" to IE.

There's no such thing, and claiming otherwise leads people to drop their guard thinking that precious Firefox will defend them from the evils of the internet.

So true ;) Which leads to people posting on forums about how they use Firefox and how they're so much better off and blah blah blah. I don't just use IE7! I also use my head which is the most important thing when it comes to internet security. Without a brain phishing filters and good security are useless.....